**Request:**
Please reproduce all of the entries underneath unchanged.

**Listing:**
Mn2CoGe | GGA-PBE | optimized geometry

Lattice parameters (Å, degrees): 4.0545 4.0545 4.0545 60.00 60.00 60.00
Closest atoms and distances in Å follow each position.
Atoms (fractional coordinates):
Mn: 0.0000 0.0000 0.0000  4 Ge 2.48, 4 Mn 2.48
Mn: 0.2500 0.2500 0.2500  4 Mn 2.48, 4 Co 2.48
Co: 0.5000 0.5000 0.5000  4 Ge 2.48, 4 Mn 2.48
Ge: 0.7500 0.7500 0.7500  4 Mn 2.48, 4 Co 2.48

Properties
Its space group is F-43m (216). The value obtained for the total energy is -7.670 eV per atom. For the energy relative to the elements, the calculation gives -0.156 eV per atom. For the theoretical density, the calculation gives 8.51 Mg/m³.



Na2CaH10C2O11 | GGA-PBE | optimized geometry

Lattice parameters (Å, degrees): 8.2593 8.2593 11.2866 122.58 122.58 55.66
Closest atoms and distances in Å follow each position.
Atoms (fractional coordinates):
Na: 0.1025 0.7214 0.5137  5 O 2.38-2.48, 1 H 2.45
Na: 0.2786 0.8975 0.9863  5 O 2.38-2.48, 1 H 2.45
Na: 0.7214 0.1025 0.0137  5 O 2.38-2.48, 1 H 2.45
Na: 0.8975 0.2786 0.4863  5 O 2.38-2.48, 1 H 2.45
Ca: 0.1931 0.8069 0.2500  8 O 2.43-2.64
Ca: 0.8069 0.1931 0.7500  8 O 2.43-2.64
H: 0.0868 0.7059 0.9260  1 O 0.99
H: 0.2199 0.3491 0.0819  1 O 1.01
H: 0.2391 0.4077 0.2493  1 O 1.01
H: 0.2745 0.4932 0.9526  1 O 0.99
H: 0.2941 0.9132 0.5740  1 O 0.99
H: 0.3491 0.2199 0.5819  1 O 1.01
H: 0.3498 0.5288 0.7298  1 O 1.00
H: 0.4077 0.2391 0.7493  1 O 1.01
H: 0.4712 0.6502 0.7702  1 O 1.00
H: 0.4932 0.2745 0.4526  1 O 0.99
H: 0.5068 0.7255 0.5474  1 O 0.99
H: 0.5288 0.3498 0.2298  1 O 1.00
H: 0.5923 0.7609 0.2507  1 O 1.01
H: 0.6502 0.4712 0.2702  1 O 1.00
H: 0.6509 0.7801 0.4181  1 O 1.01
H: 0.7059 0.0868 0.4260  1 O 0.99
H: 0.7255 0.5068 0.0474  1 O 0.99
H: 0.7609 0.5923 0.7507  1 O 1.01
H: 0.7801 0.6509 0.9181  1 O 1.01
H: 0.9132 0.2941 0.0740  1 O 0.99
C: 0.1649 0.2126 0.3165  3 O 1.30-1.31
C: 0.2126 0.1649 0.8165  3 O 1.30-1.31
C: 0.7874 0.8351 0.1835  3 O 1.30-1.31
C: 0.8351 0.7874 0.6835  3 O 1.30-1.31
O: 0.1023 0.1088 0.1749  1 C 1.30
O: 0.1088 0.1023 0.6749  1 C 1.30
O: 0.1582 0.1779 0.9115  1 C 1.31
O: 0.1779 0.1582 0.4115  1 C 1.31
O: 0.2182 0.3640 0.3643  1 C 1.30
O: 0.2202 0.6474 0.0001  2 H 0.99
O: 0.2627 0.4429 0.1882  2 H 1.01
O: 0.3281 0.6719 0.7500  2 H 1.00
O: 0.3526 0.7798 0.4999  2 H 0.99
O: 0.3640 0.2182 0.8643  1 C 1.30
O: 0.4429 0.2627 0.6882  2 H 1.01
O: 0.5571 0.7373 0.3118  2 H 1.01
O: 0.6360 0.7817 0.1357  1 C 1.30
O: 0.6474 0.2202 0.5001  2 H 0.99
O: 0.6719 0.3281 0.2500  2 H 1.00
O: 0.7373 0.5571 0.8118  2 H 1.01
O: 0.7798 0.3526 0.9999  2 H 0.99
O: 0.7817 0.6360 0.6357  1 C 1.30
O: 0.8221 0.8418 0.5885  1 C 1.31
O: 0.8418 0.8221 0.0885  1 C 1.31
O: 0.8912 0.8977 0.3251  1 C 1.30
O: 0.8977 0.8912 0.8251  1 C 1.30

Properties
Its space group is C2/c (15). The value obtained for the total energy is -5.730 eV per atom. For the energy relative to the elements, the calculation gives -1.734 eV per atom. For the theoretical density, the calculation gives 1.95 Mg/m³.



MgSn2 | GGA-PBE | optimized geometry

Lattice parameters (Å, degrees): 3.4007 3.4007 15.3891 90.00 90.00 120.00
Closest atoms and distances in Å follow each position.
Atoms (fractional coordinates):
Mg: 0.3333 0.6667 0.2500  6 Sn 3.14, 6 Mg 3.40
Mg: 0.6667 0.3333 0.7500  6 Sn 3.14, 6 Mg 3.40
Sn: 0.3333 0.6667 0.5910  3 Mg 3.14, 9 Sn 3.40-3.42
Sn: 0.3333 0.6667 0.9090  3 Mg 3.14, 9 Sn 3.40-3.42
Sn: 0.6667 0.3333 0.0910  3 Mg 3.14, 9 Sn 3.40-3.42
Sn: 0.6667 0.3333 0.4090  3 Mg 3.14, 9 Sn 3.40-3.42

Properties
Its space group is P6_3/mmc (194). The value obtained for the total energy is -3.234 eV per atom. For the energy relative to the elements, the calculation gives -0.027 eV per atom. For the theoretical density, the calculation gives 5.64 Mg/m³.



LiBiP2O8 | GGA-PBE | optimized geometry

Lattice parameters (Å, degrees): 7.5278 8.6684 8.6723 119.94 90.04 90.02
Closest atoms and distances in Å follow each position.
Atoms (fractional coordinates):
Li: 0.0000 0.0000 0.0000  6 O 2.47-2.58

**Done:**
Mn2CoGe | GGA-PBE | optimized geometry

Lattice parameters (Å, degrees): 4.0545 4.0545 4.0545 60.00 60.00 60.00
Closest atoms and distances in Å follow each position.
Atoms (fractional coordinates):
Mn: 0.0000 0.0000 0.0000  4 Ge 2.48, 4 Mn 2.48
Mn: 0.2500 0.2500 0.2500  4 Mn 2.48, 4 Co 2.48
Co: 0.5000 0.5000 0.5000  4 Ge 2.48, 4 Mn 2.48
Ge: 0.7500 0.7500 0.7500  4 Mn 2.48, 4 Co 2.48

Properties
Its space group is F-43m (216). The value obtained for the total energy is -7.670 eV per atom. For the energy relative to the elements, the calculation gives -0.156 eV per atom. For the theoretical density, the calculation gives 8.51 Mg/m³.



Na2CaH10C2O11 | GGA-PBE | optimized geometry

Lattice parameters (Å, degrees): 8.2593 8.2593 11.2866 122.58 122.58 55.66
Closest atoms and distances in Å follow each position.
Atoms (fractional coordinates):
Na: 0.1025 0.7214 0.5137  5 O 2.38-2.48, 1 H 2.45
Na: 0.2786 0.8975 0.9863  5 O 2.38-2.48, 1 H 2.45
Na: 0.7214 0.1025 0.0137  5 O 2.38-2.48, 1 H 2.45
Na: 0.8975 0.2786 0.4863  5 O 2.38-2.48, 1 H 2.45
Ca: 0.1931 0.8069 0.2500  8 O 2.43-2.64
Ca: 0.8069 0.1931 0.7500  8 O 2.43-2.64
H: 0.0868 0.7059 0.9260  1 O 0.99
H: 0.2199 0.3491 0.0819  1 O 1.01
H: 0.2391 0.4077 0.2493  1 O 1.01
H: 0.2745 0.4932 0.9526  1 O 0.99
H: 0.2941 0.9132 0.5740  1 O 0.99
H: 0.3491 0.2199 0.5819  1 O 1.01
H: 0.3498 0.5288 0.7298  1 O 1.00
H: 0.4077 0.2391 0.7493  1 O 1.01
H: 0.4712 0.6502 0.7702  1 O 1.00
H: 0.4932 0.2745 0.4526  1 O 0.99
H: 0.5068 0.7255 0.5474  1 O 0.99
H: 0.5288 0.3498 0.2298  1 O 1.00
H: 0.5923 0.7609 0.2507  1 O 1.01
H: 0.6502 0.4712 0.2702  1 O 1.00
H: 0.6509 0.7801 0.4181  1 O 1.01
H: 0.7059 0.0868 0.4260  1 O 0.99
H: 0.7255 0.5068 0.0474  1 O 0.99
H: 0.7609 0.5923 0.7507  1 O 1.01
H: 0.7801 0.6509 0.9181  1 O 1.01
H: 0.9132 0.2941 0.0740  1 O 0.99
C: 0.1649 0.2126 0.3165  3 O 1.30-1.31
C: 0.2126 0.1649 0.8165  3 O 1.30-1.31
C: 0.7874 0.8351 0.1835  3 O 1.30-1.31
C: 0.8351 0.7874 0.6835  3 O 1.30-1.31
O: 0.1023 0.1088 0.1749  1 C 1.30
O: 0.1088 0.1023 0.6749  1 C 1.30
O: 0.1582 0.1779 0.9115  1 C 1.31
O: 0.1779 0.1582 0.4115  1 C 1.31
O: 0.2182 0.3640 0.3643  1 C 1.30
O: 0.2202 0.6474 0.0001  2 H 0.99
O: 0.2627 0.4429 0.1882  2 H 1.01
O: 0.3281 0.6719 0.7500  2 H 1.00
O: 0.3526 0.7798 0.4999  2 H 0.99
O: 0.3640 0.2182 0.8643  1 C 1.30
O: 0.4429 0.2627 0.6882  2 H 1.01
O: 0.5571 0.7373 0.3118  2 H 1.01
O: 0.6360 0.7817 0.1357  1 C 1.30
O: 0.6474 0.2202 0.5001  2 H 0.99
O: 0.6719 0.3281 0.2500  2 H 1.00
O: 0.7373 0.5571 0.8118  2 H 1.01
O: 0.7798 0.3526 0.9999  2 H 0.99
O: 0.7817 0.6360 0.6357  1 C 1.30
O: 0.8221 0.8418 0.5885  1 C 1.31
O: 0.8418 0.8221 0.0885  1 C 1.31
O: 0.8912 0.8977 0.3251  1 C 1.30
O: 0.8977 0.8912 0.8251  1 C 1.30

Properties
Its space group is C2/c (15). The value obtained for the total energy is -5.730 eV per atom. For the energy relative to the elements, the calculation gives -1.734 eV per atom. For the theoretical density, the calculation gives 1.95 Mg/m³.



MgSn2 | GGA-PBE | optimized geometry

Lattice parameters (Å, degrees): 3.4007 3.4007 15.3891 90.00 90.00 120.00
Closest atoms and distances in Å follow each position.
Atoms (fractional coordinates):
Mg: 0.3333 0.6667 0.2500  6 Sn 3.14, 6 Mg 3.40
Mg: 0.6667 0.3333 0.7500  6 Sn 3.14, 6 Mg 3.40
Sn: 0.3333 0.6667 0.5910  3 Mg 3.14, 9 Sn 3.40-3.42
Sn: 0.3333 0.6667 0.9090  3 Mg 3.14, 9 Sn 3.40-3.42
Sn: 0.6667 0.3333 0.0910  3 Mg 3.14, 9 Sn 3.40-3.42
Sn: 0.6667 0.3333 0.4090  3 Mg 3.14, 9 Sn 3.40-3.42

Properties
Its space group is P6_3/mmc (194). The value obtained for the total energy is -3.234 eV per atom. For the energy relative to the elements, the calculation gives -0.027 eV per atom. For the theoretical density, the calculation gives 5.64 Mg/m³.



LiBiP2O8 | GGA-PBE | optimized geometry

Lattice parameters (Å, degrees): 7.5278 8.6684 8.6723 119.94 90.04 90.02
Closest atoms and distances in Å follow each position.
Atoms (fractional coordinates):
Li: 0.0000 0.0000 0.0000  6 O 2.47-2.58